A friend posted this on Facebook during quarantine: “I can’t stop eating!” My first thought? Well of course, that’s so very natural. I read the many comments and, as we would all expect, she was not alone. The pandemic has been extremely stressful, so of course people are stress eating…even still to this day.

Why do we stress eat? Before my 50 pound weight loss over 20 years ago, I thought I couldn’t control my eating and that it was because I was weak or genetically condemned. During those years of failed dieting, as I was plagued by hopelessness, self-hatred and body shame, I wish someone had told my what I am about to tell you.

1) Our bodies interprets chronic heightened stress as famine.
Your lower, more primal, brain senses your stress and is wired to protect you from attack via fight, flight or freeze. When you feel stressed, these parts of your brain are also wired to protect you from famine with unconscious directives to stockpile, eat and eat some more. This is part of why many people are stockpiling in excess as a reaction to the novel coronavirus pandemic, even where there is no food shortage other than the ones caused by stockpiling.
There are those who stockpile and don’t eat. Stress can also turn off appetite as well. Whether your reaction to stress is to store food in your pantry or as body fat is really just a matter of internal or external storage.

2) Stress makes us crave sugar and simple carbs via stress hormones and insulin.
When your primitive brain feels stress, your body releases stress hormones like cortisol and adrenaline regardless of whether you are actually under attack or in a state of true scarcity. This triggers insulin, a fat storage and blood sugar regulating hormone. High insulin tends to make you crave simple carbohydrates (and store fat). Your body means well. It’s trying to protect you! So, it drives you to eat, simple carbs in particular.

3) Our bodies may be trying to boost our moods.
When we are stressed for longer periods of time, we also deplete brain chemicals, called neurotransmitters, that help us feel calm, happy and hopeful, such as GABA, serotonin and dopamine. What’s a survival brain to do to try to boost your mood? You guessed it. Eat!

4) Many of us unconsciously eat to avoid feeling unpleasant emotions.
When we are in fight or flight, one “flight” strategy is to avoid and stuff down negative emotions instead of feeling them. It is very common for people to hold an unconscious misconception that if we feel pain, we will go down a rabbit hole and never come back. However, the opposite is true. Your body needs to sense that you have fully felt pain and fear signals for these signals to lessen. We call this “feel your way free.” When we don’t stop to feel and release, then we stuff – our emotions and, yes once again, our mouths. We eat our emotions to numb our pain.

5) We eat more when we don’t register pleasure from our food or do not have enough pleasure in our lives.
We are wired for pleasure. It is a biological need and not a luxury. If we eat while preoccupied and don’t consciously register that we ate and relished something yummy, guess what your brain tells you? “I don’t really remember eating. Uh, yeah, I don’t think we ate. Time to eat!” Or, when we eat too fast, “Wow, that was over fast. I barely had a chance to enjoy that and it was over. Let’s do it some more!” So, you eat.
Along similar lines, we often have a drive to get pleasure from food when we aren’t getting pleasure in other areas of our life. This is why in order to have control over eating, we must make time for a broad spectrum of healthy forms of pleasure and play as close to every day as possible. Examples include socialization, touch (from others, pets or even yourself), time outdoors, forms of movement you enjoy, books, movies, music and so forth, basically anything that you enjoy that doesn’t hurt you.

........
Entry 1:
Calculated X-ray diffraction stick pattern of PrSm2WO8 for a wavelength of 1.5418 Å, from a DFT-relaxed cell (PBE+U, Alexandria).
No peak broadening, texture or thermal motion is included.

Largest 6 diffraction maxima, in order of rising 2θ, 10° ≤ 2θ ≤ 90°:
2θ (°), I_rel, (hkl)
24.3, 56, 1 0 -1
24.4, 53, 1 0 1
30.6, 100, 0 2 1
34.7, 29, 2 0 0
46.9, 39, 1 2 -2
47.0, 37, 1 2 2

Crystal structure
Lattice parameters (Å, degrees): 5.166 7.081 5.167 90.00 90.36 90.00
Space group P2/m (No. 10)
One atom of each set of equivalent atoms:
Pr 0.000 0.000 0.000
Sm 0.500 0.256 0.500
W 0.000 0.500 0.000
O 0.180 0.297 0.818
O 0.270 0.500 0.268
O 0.315 0.000 0.313

Entry 2:
Calculated X-ray diffraction stick pattern of SrPrVSnO6 for a wavelength of 1.5418 Å, from a DFT-relaxed cell (PBE+U, Alexandria).
No peak broadening, texture or thermal motion is included.

Largest 6 diffraction maxima, in order of rising 2θ, 10° ≤ 2θ ≤ 90°:
2θ (°), I_rel, (hkl)
19.1, 12, 1 1 1
31.4, 100, 2 2 0
45.0, 33, 4 0 0
55.9, 40, 4 2 2
65.5, 20, 4 4 0
74.4, 18, 6 2 0

Crystal structure
Lattice parameters (Å, degrees): 8.064 8.064 8.064 90.00 90.00 90.00
Space group F-43m (No. 216)
One atom of each set of equivalent atoms:
Sr 0.000 0.000 0.000
Pr 0.000 0.000 0.500
V 0.250 0.250 0.750
Sn 0.250 0.250 0.250
O 0.002 0.250 0.750

> Which formula does entry 2 have?

SrPrVSnO6
........
The materials data stop here:

6) When we eat while stressed, we tend not to absorb complex nutrients as well, which can lead us to overeat.
Why? When we are in a stressed state, our body prepares for fight or flight by slowing our digestion (as well as hampering our libido and ability to fight infections). This is so you can direct energy to run fast or defend yourself. Because of this, when we are stressed, we are not able to assimilate more complex nutrients, so our bodies eat more, but feel less nourished. So, we eat more and feed the cycle.
The opposite is also true. Calm, present, pleasurable eating helps us get more complete nutritional benefit from our foods so we get full eating less and absorb more nutrients.

7) Carbohydrates generally don’t make us feel full and we often don’t eat enough of these nutrients that do.
Another thing that is helpful to know is what makes us feel full. Lower fiber carbohydrates, particularly simple carbs like sugars and flours, don’t make us feel full, but good quality fats and proteins do. Non starchy veggies also help us feel full. So, you can eat a whole lot of chips, desserts and popcorn without feeling full. However, how many boiled eggs can you eat unless you’re Cool Hand Luke (that’s a classic movie reference for you youngin’s)?
Carbohydrates are not bad! Let me say this again: carbohydrates are not bad. We just need to eat high quality ones in moderation and in balance with other nutrients like proteins, fats and non-starchy veggies. We need to keep our blood sugar balanced to keep our cells healthy and age gently. This includes choosing high nutrient carbohydrates like organic root veggies, squash and fruits. This allows us to be a little more moderate in our consumption of grains, flours and pastas (ideally gluten free for most people), which aren’t bad either if they are high quality. Similarly, desserts are great when made with good ingredients and in reasonable portions. Remember, desserts with more fat and protein are more filling!

8) If we don’t get our nutritional needs yet, we feel hungry no matter how many calories we eat. We can be overweight and malnourished.
When foods are higher in nutrients, such as organic veggies grown in rich soil or wild game or pastured meat, we don’t need to eat much to feel full. A fast food salad with anemic veggies and factory farm chicken is not as filling because its not as nutrient rich as its sustainable counterpart – as above, so below (or as below, so above). Empty calories keep us hungry because your nutritional needs simply aren’t met and it is your body’s duty to ask for more food – real food this time, please. Furthermore, when we deprive our body of nutrients, our bodies get stressed and you are back in the stress eating biochemistry described a the beginning of this article. With some exceptions, a large percentage of obese folks are malnourished, not over nourished.

9) Willpower is a joke
So, why can’t we just override these programs with logic? Why doesn’t willpower work? Logic can play a part, but only if it is not hijacked by our lower brain. Remember, stress eating directives come from the lower, more primitive parts of the brain, such as the brain stem and the limbic system. Because impulsive behaviors are meant to protect us with lightening speed, they signal us faster than logic or wisdom, which is why we sometimes have to “bite our tongue” while we wait to find a more mature response and why, when we don’t, we can make a mess of things.
When we are under stress, we have much less access to impulse control as logic and “willpower” are more likely to go out the window. Why? The part of our brain that is focused on “me, now, safe, feel good” takes over and concern for the long term implications of a decision fade from reach. This part of your brain doesn’t care if something you are doing will make you gain weight, give you cancer, ruin a relationship, give you a hangover or weaken your immune system (yes, even when there’s a viral pandemic). Those concepts are too abstract and in the future for the primal brain.

Now that you understand, you are empowered to have more options!
Hopefully it is now clearer why, with so much processed food, subsidized carbohydrates and stress in our modern culture, we have so much obesity, accelerated aging and chronic illness. Add a viral pandemic and you have one of two choices. You can feed a downward spiral of self-destructive despair or you can choose to use this as a unique opportunity to do something different. You can cultivate an upper spiral for yourself.

How might you create an upper spiral, you may be asking? I hope you are! Look out for Part 2 of “Can’t Stop Eating Since Quarantine? Why it’s perfectly natural and what you can do about it.” I will share 10 Healthy Hedonism strategies for upgrading your relationship with hunger signals.
Stay tuned…